La locandina - Unibo Magazine

ECOSMeG - European Cosmopolitanism and Sites of Memory
through Generations
Martedi 27 gennaio 2015, Scuola di Scienze Politiche, via G. della Torre 1, Forlì
Ore 9.30 – Padiglione Gaddi – inaugurazione della mostra ECOSMEG
con Raoul Mosconi, Assessore Comune Forlì; Felix San Vicente, coordinatore Campus Forlì;
Paolo Zurla, vice-presidente Scuola di Scienze Politiche
Ore 15-17 – Aula 1.3 – Proiezione del film dei Combatants for Peace
e collegamento Skype sulla ricerca di pace tra israeliani di seconda e terza generazione dopo la Shoah
e palestinesi
Venerdi 13 febbraio 2015, ore 11-13, aula 1.3
Conferenza con Simon Levis Sullam (Università Ca’ Foscari, Venezia)
“I carnefici e i testimoni italiani del genocidio degli ebrei e delle stragi di civili”
Introduce P. Zurla, modera M. de Bernart,
A.Bozzetti e R.Maffione presentano: “gli eccidi del 1944 presso il Campo di Aviazione di Forlì”
Nella foto, da sopra a sotto e da sinistra a destra: la manifestazione di Parigi dopo le recenti stragi terroristiche, la memoria della deportazione degli ebrei romani il 16 ottobre scorso a Roma, il
logo dei Combatants for Peace, Rav Yisrael Meir Lau bambino con il fratello Nephtali (recentemente scomparso) sopravvissuti a Buchenwald, Montesole, Fossoli, Piangipane, la targa del campo
di concentramento di Salò presso l’ex Albergo Commercio a Forlì, il Memorial de la Shoah di Parigi, una visita con studenti e docenti presso via Seganti presso il campo di Aviazione a Forlì, il
quadro che rappresenta l’eccidio in casa Pardo Roques a Pisa; sullo sfondo, la sinagoga di Pisa in via di restauto.
Per informazioni: Bernart – R.Maffione – [email protected] – tel. 0543/374166
European Parliament President Martin Schulz
Solemn Declaration on the 70th anniversary of the liberation of Auschwitz
Strasbourg - 13-01-2015
Misplaced records of crystals:
<<<
No. 1
Simulated powder XRD pattern of BiHPd4Pb for Cu Ka, from a structure optimized by DFT (GGA-PBE).

Lattice parameters (Å, degrees): 5.7662 14.4137 5.7581 90.00 90.00 90.00
Space group Cmcm (No. 63)
Unique sites:
Bi 0.0000 0.0870 0.2500 [4 per cell]
H 0.0000 0.2495 0.7500 [4 per cell]
Pd 0.0000 0.1106 0.7500 [4 per cell]
Pd 0.0000 0.3895 0.7500 [4 per cell]
Pd 0.2500 0.2500 0.0000 [8 per cell]
Pb 0.0000 0.4128 0.2500 [4 per cell]

Peak list (10 most intense, 10 to 80 degrees two-theta, low angle first)
| 2θ (°) | intensity | (hkl) |
| --- | --- | --- |
| 28.73 | 27 | 1 3 1 |
| 31.04 | 39 | 2 0 0 |
| 33.50 | 74 | 2 2 0 |
| 37.44 | 38 | 0 6 0 |
| 40.07 | 100 | 2 4 0 |
| 44.47 | 62 | 2 0 2 |
| 59.49 | 40 | 2 6 2 |
| 73.47 | 25 | 2 10 0 |
| 77.22 | 19 | 4 6 0 |
| 78.90 | 28 | 4 4 2 |

---

No. 2
Simulated powder XRD pattern of BiH6Rh2Pb for Cu Ka, from a structure optimized by DFT (GGA-PBE).

Lattice parameters (Å, degrees): 7.0126 11.9949 5.8376 90.00 93.62 90.00
Space group C2/c (No. 15)
Unique sites:
Bi 0.0000 0.1093 0.2500 [4 per cell]
H 0.1141 0.1035 0.6535 [8 per cell]
H 0.1418 0.3324 0.3794 [8 per cell]
H 0.1817 0.4269 0.1032 [8 per cell]
Rh 0.1949 0.4643 0.3803 [8 per cell]
Pb 0.0000 0.3263 0.7500 [4 per cell]

Peak list (10 most intense, 10 to 80 degrees two-theta, low angle first)
| 2θ (°) | intensity | (hkl) |
| --- | --- | --- |
| 21.26 | 100 | 0 2 1 |
| 29.54 | 81 | 1 3 -1 |
| 30.69 | 37 | 0 0 2 |
| 32.62 | 57 | 2 2 -1 |
| 34.16 | 78 | 2 2 1 |
| 38.96 | 38 | 2 0 -2 |
| 39.58 | 31 | 2 4 0 |
| 39.72 | 33 | 1 5 0 |
| 49.32 | 25 | 0 2 3 |
| 57.84 | 30 | 1 7 1 |

---

No. 3
Simulated powder XRD pattern of Sc4BiHPb for Cu Ka, from a structure optimized by DFT (GGA-PBE).

Lattice parameters (Å, degrees): 6.0717 16.0073 6.0674 90.00 90.00 90.00
Space group Cmcm (No. 63)
Unique sites:
Sc 0.0000 0.0768 0.2500 [4 per cell]
Sc 0.0000 0.4219 0.2500 [4 per cell]
Sc 0.2500 0.2500 0.0000 [8 per cell]
Bi 0.0000 0.3913 0.7500 [4 per cell]
H 0.0000 0.2119 0.2500 [4 per cell]
Pb 0.0000 0.1099 0.7500 [4 per cell]

Peak list (10 most intense, 10 to 80 degrees two-theta, low angle first)
| 2θ (°) | intensity | (hkl) |
| --- | --- | --- |
| 21.44 | 72 | 1 1 1 |
| 22.21 | 37 | 0 4 0 |
| 26.66 | 69 | 1 3 1 |
| 29.43 | 62 | 2 0 0 |
| 31.53 | 30 | 2 2 0 |
| 37.18 | 100 | 2 4 0 |
| 42.11 | 49 | 2 0 2 |
| 44.91 | 36 | 1 7 1 |
| 50.54 | 27 | 3 3 1 |
| 73.71 | 27 | 4 4 2 |

---

No. 4
Simulated powder XRD pattern of Ti7BiH2Pb2 for Cu Ka, from a structure optimized by DFT (GGA-PBE).

Lattice parameters (Å, degrees): 5.8385 5.8377 11.9424 90.00 104.03 90.00
Space group C2/m (No. 12)
Unique sites:
Ti 0.0000 0.0000 0.0000 [2 per cell]
Ti 0.1563 0.2500 0.8113 [8 per cell]
Ti 0.1868 0.0000 0.3773 [4 per cell]
Bi 0.0000 0.5000 0.0000 [2 per cell]
H 0.0935 0.0000 0.1883 [4 per cell]
Pb 0.1854 0.5000 0.3738 [4 per cell]

Peak list (10 most intense, 10 to 80 degrees two-theta, low angle first)
| 2θ (°) | intensity | (hkl) |
| --- | --- | --- |
| 21.87 | 51 | 1 1 0 |
>>>
Martin Schulz
Dear colleagues,
70 years ago, on the 27th of January 1945, Auschwitz concentration camp was liberated by
Soviet troops. What the liberators saw shocked the world as a whole and continues to do so to
this day. The heaps of corpses, the piles of shoes and human hair, the evidence of stolen lives,
the thin, hungry survivors, the proximity of death has been stamped on the collective memory of
For most of the Auschwitz inmates, liberation came too late. More than a million people were
murdered in that camp. Through hunger, disease, torture, execution, appalling medical
experiments and the killing system of the gas chambers. In particular Jews from Holland, Poland,
Greece, and other countries. Roma people, disabled people, sick people, homosexuals, political
prisoners, prisoners of war and, as anyone who has been to Auschwitz will have witnessed,
countless children. All of these peoples were declared sub-human by Nazi ideologists. They were
not deemed to have a right to live. Their lives were to be destroyed and these people
This organized mass murder was centered on Auschwitz but Auschwitz was by no means the only
camp of its kind.
Auschwitz is a reminder to humanity.
It will always be a cry of desperation and warning to humanity. The responsibility carried by those who
[Misplaced data records]
~~~
Entry 1:
Diffraction record for Cs5AsO. The X-ray diffraction stick pattern is simulated, not measured: it uses a cell relaxed with PBE and Cu Ka.

a = 8.827 Å, b = 8.827 Å, c = 11.738 Å
α = 108.44°, β = 108.44°, γ = 55.03°
Sites, in units of the cell vectors:
Cs 0.064 0.936 0.750
Cs 0.112 0.622 0.410
Cs 0.151 0.609 0.962
Cs 0.378 0.888 0.090
Cs 0.391 0.849 0.538
Cs 0.609 0.151 0.462
Cs 0.622 0.112 0.910
Cs 0.849 0.391 0.038
Cs 0.888 0.378 0.590
Cs 0.936 0.064 0.250
As 0.486 0.514 0.250
As 0.514 0.486 0.750
O 0.000 0.000 0.000
O 0.000 0.000 0.500

The 10 most intense peaks (5 to 70 degrees two-theta), low angle first:
d/Å, 2θ (°), Rel. int.
7.314, 12.1, 51
4.078, 21.8, 30
3.787, 23.5, 70
3.715, 24.0, 71
3.567, 25.0, 43
3.272, 27.3, 76
3.256, 27.4, 81
2.934, 30.5, 54
2.722, 32.9, 100
1.982, 45.8, 36

=====

Entry 2:
Diffraction record for AcZn7. The X-ray diffraction stick pattern is simulated, not measured: it uses a cell relaxed with PBE and Cu Ka.

a = 6.482 Å, b = 6.482 Å, c = 6.482 Å
α = 141.82°, β = 112.90°, γ = 79.91°
Sites, in units of the cell vectors:
Ac 0.000 0.000 0.000
Zn 0.177 0.359 0.818
Zn 0.252 0.752 0.500
Zn 0.460 0.641 0.818
Zn 0.500 0.000 0.500
Zn 0.540 0.359 0.182
Zn 0.748 0.248 0.500
Zn 0.823 0.641 0.182

The 10 most intense peaks (5 to 70 degrees two-theta), low angle first:
d/Å, 2θ (°), Rel. int.
3.582, 24.9, 20
3.007, 29.7, 28
2.941, 30.4, 56
2.638, 34.0, 100
2.610, 34.4, 84
2.322, 38.8, 21
2.120, 42.6, 41
2.042, 44.4, 52
1.919, 47.4, 28
1.471, 63.2, 35

=====

Entry 3:
Diffraction record for Mg4Ga2Ag. The X-ray diffraction stick pattern is simulated, not measured: it uses a cell relaxed with PBE and Cu Ka.

a = 5.747 Å, b = 5.747 Å, c = 4.438 Å
α = 90.00°, β = 90.00°, γ = 101.87°
Sites, in units of the cell vectors:
Mg 0.000 0.500 0.500
Mg 0.216 0.216 0.000
Mg 0.500 0.000 0.500
Mg 0.784 0.784 0.000
Ga 0.272 0.728 0.000
Ga 0.728 0.272 0.000
Ag 0.500 0.500 0.500

The 10 most intense peaks (5 to 70 degrees two-theta), low angle first:
d/Å, 2θ (°), Rel. int.
5.624, 15.8, 53
3.622, 24.6, 16
3.484, 25.6, 25
3.147, 28.4, 20
2.375, 37.9, 100
2.339, 38.5, 26
2.231, 40.4, 19
2.219, 40.7, 22
1.811, 50.4, 10
1.573, 58.7, 12
~~~
committed the crimes has been taken with them to their graves. However, we all share a collective
responsibility to ensure that this never happens again. All of us, who belong to subsequent generations, will
carry this responsibility forever.
History does not repeat itself but the past breeds the present and the way we deal with history
will determine our future. That is why we want to know why the unimaginable happened in
Auschwitz, day after day. That is why human dignity must be inviolable for us and every day we
must counter ideas and ideologies that we thought we had overcome: Hate, xenophobia,
intolerance, anti-Semitism.
We thought they were gone, but seventy years on from the liberation of Auschwitz, Jews in Europe still fear
for their safety. That is something that must frighten us and we need to resist that fear. We need to ensure
that this hatred does not become contagious.
I consider the recent events of Paris as an example.
We have to resist the growing level of mistrust.
Seventy years on from the liberation of Auschwitz we must fight for the rights of each and every human
being. That is the task that we should consider our own.
In this parliament of many nations, that is our very special duty.
For further information:
[email protected]
European Parliament President Martin Schulz